Days 102 to 106 | Easter


Days 102-106, Brasov

Hello! We are are still here! The days are going by so fast! There are so many things I’m wanting to fit inside this “downtime” and I’m really wanting to take in every part of good that I can.


There are frustrating things about this time (I’ve been battling those in my head and heart) but lots of good is coming from it too.


For the most part I’m enjoying doing the “school thing” at home. We are keeping it simple. We practice math facts, do a little IXL, then do some other kind of learning activity...research, art, science, or some other learning project. I’ve also been reading to the girls after lunch almost everyday and that is becoming my favorite part of the day.

Here the page breaks off for data records:
********
# 1
{
  "formula": "C39H50N12O4PS2ScSi",
  "method": "ωB97M-V/def2-TZVPD",
  "orbital_gap_ev": [4.9, 4.0],
  "total_energy_ev": -126869.2823,
  "total_charge": -2,
  "homo_ev": [-1.3, -0.3],
  "de_lowest_kj_mol": 31.7,
  "mol_weight_g_mol": 919.1,
  "species": ["Sc", "N", "C", "N", "C", "N", "C", "C", "N", "C", "C", "N", "H", "H", "H", "H", "H", "S", "C", "C", "C", "C", "N", "C", "C", "C", "S", "C", "N", "H", "H", "O", "C", "C", "C", "C", "C", "C", "C", "O", "N", "O", "O", "H", "H", "H", "H", "C", "Si", "C", "C", "H", "H", "H", "H", "H", "H", "H", "H", "H", "N", "P", "N", "C", "C", "C", "C", "C", "N", "C", "C", "C", "C", "C", "N", "C", "C", "C", "C", "C", "H", "H", "H", "H", "H", "H", "H", "H", "H", "H", "H", "H", "H", "H", "H", "H", "H", "H", "H", "H", "H", "H", "H", "H", "H", "H", "H", "H", "H", "H"],
********


By the time we get through all of that, we have a couple of hours of free time before dinner. It sounds pretty perfect, huh? Well, don’t let me fool you. Between all of those wonderful moments we have plenty of ups and downs. I just thought I’d share that in case you wondered:)


A few days before Easter, we made a cross to remind us that Jesus died on the cross for us. We poured salt over glue lines, then lightly put water color paint on the salt.


The next day we dyed crepe paper so we could make Easter butterflies with it on Easter.


We wrote a note to each of our neighbors and hung the note and butterfly on their doors. We also shared some butterflies with our friends.


The note said, “Happy Easter! Jesus is alive! Jesus loves you! From: Your neighbors.” I wrote them in Romanian and German. I know there are people who speak both of those in our building. I hope our google translator was accurate!


I don’t know if I’ve ever associated butterflies specifically with Easter until a couple of friends on Facebook shared the Easter butterfly crafts they had done. I love how the picture the life of a butterfly represents our new life in Christ when we choose to follow Him.


2 Corinthians 5:17 (ESV) says, “Therefore, if anyone is in Christ, he is a new creation. The old has passed away; behold, the new has come.”

## Attached: records of molecules
-- begin --
Entry 1:
The following is a DFT calculation (ωB97M-V with the def2-TZVPD basis set) of 14 unconnected molecules or ions with the total composition C16H38BCl26NO2P.

Each line ends with the Löwdin charge.
Atoms and positions in Å:
Cl -8.32394 -2.01888 3.81535  0.558
H 0.66899 2.50941 -5.29100  0.036
H 0.25905 3.38375 1.54244  0.022
H 8.20819 -0.14234 0.40169  0.099
H -4.00824 4.29294 -1.17761  0.038
Cl -7.85626 -7.54933 4.97069  0.456
Cl 8.67974 2.46542 -7.71227  0.486
C 0.04395 2.33151 1.34112  -1.052
B 6.73004 1.63958 1.00057  -0.363
H -1.02700 2.20017 1.16888  -0.020
Cl -4.28697 2.52813 0.36656  0.511
H -3.01141 2.86839 -1.59147  -0.005
H -3.47958 6.32723 0.63281  -0.044
C -3.95998 6.97836 1.36703  -1.055
C 5.51394 -0.01118 -0.52878  -0.078
Cl -8.16031 -7.02709 7.82264  0.508
H 8.95847 4.23023 -9.25643  0.003
H 6.06441 6.08784 -6.58756  0.029
Cl -8.21294 -9.17898 1.97325  0.487
O 6.77943 2.86507 1.87473  0.042
C 9.04537 1.90880 -0.48642  -0.133
H 6.60347 2.58242 2.82261  0.133
Cl -6.34778 -11.34486 7.02235  0.514
O 4.71273 3.69274 -0.19403  -0.402
Cl 10.74652 3.99291 -2.74716  0.526
H 9.08461 5.54344 -3.38792  0.035
H 9.12255 3.04450 -0.19589  0.094
Cl -7.29581 0.56581 0.21992  0.477
Cl -8.80275 -2.52708 -0.32756  0.484
H 4.44463 -0.53871 -0.57926  0.136
C -8.77968 -10.60213 2.85556  -1.007
P 4.18067 2.22072 0.02596  0.808
H 7.05389 4.70982 -7.14993  -0.039
H -6.48113 -8.28825 6.74260  -0.048
C 0.71014 2.32521 -4.21472  -1.020
Cl -9.27660 -0.75934 -2.59678  0.489
C -9.84333 -2.18249 -1.71446  -1.021
H -8.77308 -11.46347 2.18321  0.029
Cl -5.26559 0.32029 2.29759  0.465
H 5.00261 0.55314 1.41013  0.197
Cl 0.52395 1.36754 2.74304  0.524
H 3.04509 2.18789 0.94546  -0.011
H 3.62400 1.79896 -1.26702  0.052
C 9.09713 4.47423 -3.16289  -1.020
Cl 1.39443 0.72008 -3.93131  0.483
H -4.58567 -11.15699 5.46146  0.029
Cl -7.73910 -10.94673 4.24247  0.487
H -4.02351 -11.76185 7.04652  0.031
H 8.44158 4.26822 -2.31339  0.009
C 9.60479 3.44512 -8.85660  -1.011
H -9.79663 -10.41895 3.21063  0.034
Cl -1.96644 4.25601 0.00829  0.576
Cl -3.12004 8.53360 1.39395  0.506
C -4.67320 -11.04091 6.54437  -0.985
H 5.65445 0.50218 -1.59302  0.146
Cl -7.42926 -4.53361 4.98776  0.496
N 5.40833 1.04136 0.55547  -0.178
Cl 0.92551 1.83077 -0.10704  0.506
H 6.28186 -0.86798 -0.31578  0.130
H -9.83673 -3.04382 -2.38682  0.029
H -3.89917 6.52402 2.35894  0.032
Cl 7.58884 6.71374 -8.27902  0.516
H -10.86029 -1.99930 -1.35939  0.031
C -7.55692 -8.15638 6.60375  -1.053
H 8.85906 1.11836 1.64291  0.136
H -7.52124 -0.37455 2.37436  -0.083
Cl -5.66091 7.18158 0.93045  0.504
Cl -4.17126 -9.40564 6.99042  0.541
H -8.06507 -9.11598 6.72531  -0.013
C 6.49197 5.59304 -7.46298  -1.043
H 9.95530 2.80568 -9.67030  0.033
Cl 8.51047 3.58266 -4.57214  0.490
H -6.12339 -2.86620 3.94319  0.029
H 8.63947 1.71535 -1.56753  0.082
H 1.34716 3.07306 -3.73644  0.027
C -6.98946 -2.86375 4.60933  -1.000
Cl 5.18120 5.09036 -8.53734  0.503
H -7.35946 1.40461 2.42652  0.038
H -6.74017 -2.34264 5.53685  0.033
-- stop --
## So much for the records of molecules


Oh, how I need this new life of freedom! Oh, how I need Him! I mess up every single day and He keeps loving me and forgiving me. I don’t have to follow a set of rules to perfection. I don’t have to do enough good works for Him to love me. He just loves me and forgives me.


I’m so thankful to Jesus for taking on my sin (and yours) and dying on the cross when I’m the one who deserves that death. I’m also thankful for the good news that He rose and defeated death so that I (we) can have everlasting life with Him. I’m thankful for the peace and hope that the that good news brings to me.


I’ve chosen to follow Him. I hope you have too and that you know the peace and hope that the good news of Easter brings.


Journey One Eighty welcomes your comments.


Days 107 to 113 | Good Gifts


Days 96 to 101 | Be Thankful